Material:
Computed, not measured: crystalline Sc2BeCd at its relaxed geometry at the PBE-GGA level of DFT.

Values from the calculation:
* DOS at the Fermi energy: 4.17 states/eV/cell
* final energy: -4.353 eV per atom
* calculated volume: 19.77 Å³/atom
* formation energy: -0.03 eV/atom

Lattice parameters (Å, degrees): 3.3655 4.3278 5.6815 90.00 107.11 90.00
With the nearest neighbours (Å) after each atom.
Fractional positions:
Sc: 0.0000 0.0000 0.0000  4 Be 2.89, 3 Cd 2.94-3.01
Sc: 0.3254 0.5000 0.6524  3 Be 2.80-3.12, 4 Cd 2.96-2.97
Be: 0.5850 0.5000 0.1689  2 Cd 2.63, 5 Sc 2.80-2.89
Cd: 0.7215 0.0000 0.4448  2 Be 2.63, 2 Sc 2.94

=====

Computed, not measured: crystalline ScBe2Cd2 at its relaxed geometry at the PBE-GGA level of DFT.

Values from the calculation:
* DOS at the Fermi energy: 5.96 states/eV/cell
* final energy: -3.042 eV per atom
* calculated volume: 16.86 Å³/atom
* formation energy: 0.08 eV/atom

Lattice parameters (Å, degrees): 4.0362 4.0362 10.3482 90.00 90.00 90.00
With the nearest neighbours (Å) after each atom.
Fractional positions:
Sc: 0.0000 0.0000 0.0000  8 Be 3.03, 8 Cd 3.28
Sc: 0.5000 0.5000 0.5000  8 Be 3.03, 8 Cd 3.28
Be: 0.0000 0.0000 0.4016  1 Be 2.04
Be: 0.0000 0.0000 0.5984  1 Be 2.04
Be: 0.5000 0.5000 0.0984  1 Be 2.04
Be: 0.5000 0.5000 0.9016  1 Be 2.04
Cd: 0.0000 0.5000 0.2500  4 Be 2.56, 4 Cd 2.85
Cd: 0.0000 0.5000 0.7500  4 Be 2.56, 4 Cd 2.85
Cd: 0.5000 0.0000 0.2500  4 Be 2.56, 4 Cd 2.85
Cd: 0.5000 0.0000 0.7500  4 Be 2.56, 4 Cd 2.85

=====

Computed, not measured: crystalline ScBe2Cd at its relaxed geometry at the PBE-GGA level of DFT.

Values from the calculation:
* DOS at the Fermi energy: 8.25 states/eV/cell
* final energy: -3.594 eV per atom
* calculated volume: 16.25 Å³/atom
* formation energy: 0.08 eV/atom

Lattice parameters (Å, degrees): 3.8277 3.8277 15.3643 90.00 90.00 120.00
With the nearest neighbours (Å) after each atom.
Fractional positions:
Sc: 0.0000 0.0000 0.0000  6 Be 2.74-2.77, 4 Cd 3.03-3.05
Sc: 0.3333 0.6667 0.6667  6 Be 2.74-2.77, 4 Cd 3.03-3.05
Sc: 0.6667 0.3333 0.3333  6 Be 2.74-2.77, 4 Cd 3.03-3.05
Be: 0.0000 0.0000 0.4386  3 Be 2.21
Be: 0.0000 0.0000 0.7752  3 Be 2.21
Be: 0.3333 0.6667 0.1053  3 Be 2.21
Be: 0.3333 0.6667 0.4419  3 Be 2.21
Be: 0.6667 0.3333 0.1085  3 Be 2.21
Be: 0.6667 0.3333 0.7720  3 Be 2.21
Cd: 0.0000 0.0000 0.1982  6 Be 2.60-2.63
Cd: 0.3333 0.6667 0.8649  6 Be 2.60-2.63
Cd: 0.6667 0.3333 0.5315  6 Be 2.60-2.63

=====

Computed, not measured: crystalline Sc2BeCd at its relaxed geometry at the PBE-GGA level of DFT.

Values from the calculation:
* DOS at the Fermi energy: 14.80 states/eV/cell
* final energy: -4.402 eV per atom
* calculated volume: 19.36 Å³/atom
* formation energy: -0.08 eV/atom

Lattice parameters (Å, degrees): 6.7667 6.7667 6.7667 90.00 90.00 90.00
With the nearest neighbours (Å) after each atom.
Fractional positions:
Sc: 0.2500 0.2500 0.2500  4 Cd 2.93, 4 Be 2.93
Sc: 0.2500 0.2500 0.7500  4 Be 2.93, 4 Cd 2.93
Sc: 0.2500 0.7500 0.2500  4 Be 2.93, 4 Cd 2.93
Sc: 0.2500 0.7500 0.7500  4 Cd 2.93, 4 Be 2.93
Sc: 0.7500 0.2500 0.2500  4 Be 2.93, 4 Cd 2.93
Sc: 0.7500 0.2500 0.7500  4 Cd 2.93, 4 Be 2.93
Sc: 0.7500 0.7500 0.2500  4 Cd 2.93, 4 Be 2.93
Sc: 0.7500 0.7500 0.7500  4 Be 2.93, 4 Cd 2.93
Be: 0.0000 0.0000 0.0000  8 Sc 2.93
Be: 0.0000 0.5000 0.5000  8 Sc 2.93
Be: 0.5000 0.0000 0.5000  8 Sc 2.93
Be: 0.5000 0.5000 0.0000  8 Sc 2.93
Cd: 0.0000 0.0000 0.5000  8 Sc 2.93
Cd: 0.0000 0.5000 0.0000  8 Sc 2.93
Cd: 0.5000 0.0000 0.0000  8 Sc 2.93
Cd: 0.5000 0.5000 0.5000  8 Sc 2.93

=====

DOS at the Fermi energy of number 3 (ScBe2Cd)?
8.25 states/eV/cell

=====

Which value of DOS at the Fermi energy does entry 4 give?
14.80 states/eV/cell

=====

Look up the final energy of the second one.
-3.042 eV per atom

----------

Entry 1:
Material: SrLiPrTe3
Method: DFT, PBE-GGA
State: relaxed

Properties
formation energy from raw total energies = -1.425 eV/atom
space-group type = P2_1/m (11)

Cell and atoms, written as extended XYZ:
```
12
Assignment:
The reader should restate all of the data further above verbatim.
Worked solution:
Computed, not measured: crystalline Sc2BeCd at its relaxed geometry at the PBE-GGA level of DFT.

Values from the calculation:
* DOS at the Fermi energy: 4.17 states/eV/cell
* final energy: -4.353 eV per atom
* calculated volume: 19.77 Å³/atom
* formation energy: -0.03 eV/atom

Lattice parameters (Å, degrees): 3.3655 4.3278 5.6815 90.00 107.11 90.00
With the nearest neighbours (Å) after each atom.
Fractional positions:
Sc: 0.0000 0.0000 0.0000  4 Be 2.89, 3 Cd 2.94-3.01
Sc: 0.3254 0.5000 0.6524  3 Be 2.80-3.12, 4 Cd 2.96-2.97
Be: 0.5850 0.5000 0.1689  2 Cd 2.63, 5 Sc 2.80-2.89
Cd: 0.7215 0.0000 0.4448  2 Be 2.63, 2 Sc 2.94

=====

Computed, not measured: crystalline ScBe2Cd2 at its relaxed geometry at the PBE-GGA level of DFT.

Values from the calculation:
* DOS at the Fermi energy: 5.96 states/eV/cell
* final energy: -3.042 eV per atom
* calculated volume: 16.86 Å³/atom
* formation energy: 0.08 eV/atom

Lattice parameters (Å, degrees): 4.0362 4.0362 10.3482 90.00 90.00 90.00
With the nearest neighbours (Å) after each atom.
Fractional positions:
Sc: 0.0000 0.0000 0.0000  8 Be 3.03, 8 Cd 3.28
Sc: 0.5000 0.5000 0.5000  8 Be 3.03, 8 Cd 3.28
Be: 0.0000 0.0000 0.4016  1 Be 2.04
Be: 0.0000 0.0000 0.5984  1 Be 2.04
Be: 0.5000 0.5000 0.0984  1 Be 2.04
Be: 0.5000 0.5000 0.9016  1 Be 2.04
Cd: 0.0000 0.5000 0.2500  4 Be 2.56, 4 Cd 2.85
Cd: 0.0000 0.5000 0.7500  4 Be 2.56, 4 Cd 2.85
Cd: 0.5000 0.0000 0.2500  4 Be 2.56, 4 Cd 2.85
Cd: 0.5000 0.0000 0.7500  4 Be 2.56, 4 Cd 2.85

=====

Computed, not measured: crystalline ScBe2Cd at its relaxed geometry at the PBE-GGA level of DFT.

Values from the calculation:
* DOS at the Fermi energy: 8.25 states/eV/cell
* final energy: -3.594 eV per atom
* calculated volume: 16.25 Å³/atom
* formation energy: 0.08 eV/atom

Lattice parameters (Å, degrees): 3.8277 3.8277 15.3643 90.00 90.00 120.00
With the nearest neighbours (Å) after each atom.
Fractional positions:
Sc: 0.0000 0.0000 0.0000  6 Be 2.74-2.77, 4 Cd 3.03-3.05
Sc: 0.3333 0.6667 0.6667  6 Be 2.74-2.77, 4 Cd 3.03-3.05
Sc: 0.6667 0.3333 0.3333  6 Be 2.74-2.77, 4 Cd 3.03-3.05
Be: 0.0000 0.0000 0.4386  3 Be 2.21
Be: 0.0000 0.0000 0.7752  3 Be 2.21
Be: 0.3333 0.6667 0.1053  3 Be 2.21
Be: 0.3333 0.6667 0.4419  3 Be 2.21
Be: 0.6667 0.3333 0.1085  3 Be 2.21
Be: 0.6667 0.3333 0.7720  3 Be 2.21
Cd: 0.0000 0.0000 0.1982  6 Be 2.60-2.63
Cd: 0.3333 0.6667 0.8649  6 Be 2.60-2.63
Cd: 0.6667 0.3333 0.5315  6 Be 2.60-2.63

=====

Computed, not measured: crystalline Sc2BeCd at its relaxed geometry at the PBE-GGA level of DFT.

Values from the calculation:
* DOS at the Fermi energy: 14.80 states/eV/cell
* final energy: -4.402 eV per atom
* calculated volume: 19.36 Å³/atom
* formation energy: -0.08 eV/atom

Lattice parameters (Å, degrees): 6.7667 6.7667 6.7667 90.00 90.00 90.00
With the nearest neighbours (Å) after each atom.
Fractional positions:
Sc: 0.2500 0.2500 0.2500  4 Cd 2.93, 4 Be 2.93
Sc: 0.2500 0.2500 0.7500  4 Be 2.93, 4 Cd 2.93
Sc: 0.2500 0.7500 0.2500  4 Be 2.93, 4 Cd 2.93
Sc: 0.2500 0.7500 0.7500  4 Cd 2.93, 4 Be 2.93
Sc: 0.7500 0.2500 0.2500  4 Be 2.93, 4 Cd 2.93
Sc: 0.7500 0.2500 0.7500  4 Cd 2.93, 4 Be 2.93
Sc: 0.7500 0.7500 0.2500  4 Cd 2.93, 4 Be 2.93
Sc: 0.7500 0.7500 0.7500  4 Be 2.93, 4 Cd 2.93
Be: 0.0000 0.0000 0.0000  8 Sc 2.93
Be: 0.0000 0.5000 0.5000  8 Sc 2.93
Be: 0.5000 0.0000 0.5000  8 Sc 2.93
Be: 0.5000 0.5000 0.0000  8 Sc 2.93
Cd: 0.0000 0.0000 0.5000  8 Sc 2.93
Cd: 0.0000 0.5000 0.0000  8 Sc 2.93
Cd: 0.5000 0.0000 0.0000  8 Sc 2.93
Cd: 0.5000 0.5000 0.5000  8 Sc 2.93

=====

DOS at the Fermi energy of number 3 (ScBe2Cd)?
8.25 states/eV/cell

=====

Which value of DOS at the Fermi energy does entry 4 give?
14.80 states/eV/cell

=====

Look up the final energy of the second one.
-3.042 eV per atom

----------

Entry 1:
Material: SrLiPrTe3
Method: DFT, PBE-GGA
State: relaxed

Properties
formation energy from raw total energies = -1.425 eV/atom
space-group type = P2_1/m (11)

Cell and atoms, written as extended XYZ:
```
12